To do.
Echo all of the material further down verbatim, please.
Excerpt.
____________
Record 1
The following is a simulated powder X-ray diffraction pattern of Ba4SbO. It was derived from a cell relaxed with GGA-PBE, using Cu Kα.
Lines closer than 0.1° are merged.

Largest 12 diffraction maxima, in order of falling intensity, 15° ≤ 2θ ≤ 90°:
- d 3.199, 27.9 deg, rel. 1000
- d 3.217, 27.7 deg, rel. 933
- d 3.083, 29.0 deg, rel. 650
- d 3.852, 23.1 deg, rel. 507
- d 4.372, 20.3 deg, rel. 448
- d 2.583, 34.7 deg, rel. 426
- d 4.106, 21.6 deg, rel. 383
- d 1.980, 45.8 deg, rel. 361
- d 1.587, 58.1 deg, rel. 243
- d 2.535, 35.4 deg, rel. 219
- d 1.799, 50.8 deg, rel. 215
- d 2.523, 35.6 deg, rel. 202

Atomic structure:
```
Ba4SbO
1.0
6.167 0.000 0.000
0.000 5.165 0.000
-3.009 0.000 8.210
Ba Sb O
4 1 1
direct
0.000 0.000 0.000
0.215 0.000 0.481
0.433 0.500 0.872
0.700 0.500 0.491
0.596 0.000 0.205
0.337 0.500 0.564
```

---

Record 2
The following is a simulated powder X-ray diffraction pattern of Ba2Sb2O5. It was derived from a cell relaxed with GGA-PBE, using Cu Kα.
Lines closer than 0.1° are merged.

Largest 12 diffraction maxima, in order of falling intensity, 15° ≤ 2θ ≤ 90°:
- d 3.220, 27.7 deg, rel. 1000
- d 3.378, 26.4 deg, rel. 774
- d 1.734, 52.8 deg, rel. 318
- d 2.258, 39.9 deg, rel. 272
- d 1.859, 49.0 deg, rel. 223
- d 1.930, 47.1 deg, rel. 187
- d 1.380, 67.9 deg, rel. 158
- d 2.410, 37.3 deg, rel. 151
- d 1.889, 48.2 deg, rel. 143
- d 3.166, 28.2 deg, rel. 140
- d 2.058, 44.0 deg, rel. 133
- d 1.610, 57.2 deg, rel. 132

Atomic structure:
```
Ba2Sb2O5
1.0
14.864 0.000 0.000
0.000 6.445 0.000
0.000 0.000 8.231
Ba Sb O
8 8 20
direct
0.067 0.250 0.125
0.075 0.250 0.626
0.425 0.750 0.126
0.433 0.750 0.625
0.567 0.250 0.375
0.575 0.250 0.874
0.925 0.750 0.374
0.933 0.750 0.875
0.177 0.750 0.366
0.181 0.750 0.888
0.319 0.250 0.388
0.323 0.250 0.866
0.677 0.750 0.134
0.681 0.750 0.612
0.819 0.250 0.112
0.823 0.250 0.634
0.088 0.525 0.369
0.088 0.975 0.369
0.093 0.525 0.880
0.093 0.975 0.880
0.217 0.750 0.128
0.283 0.250 0.628
0.407 0.025 0.380
0.407 0.475 0.380
0.412 0.025 0.869
0.412 0.475 0.869
0.588 0.525 0.131
0.588 0.975 0.131
0.593 0.525 0.620
0.593 0.975 0.620
0.717 0.750 0.372
0.783 0.250 0.872
0.907 0.025 0.120
0.907 0.475 0.120
0.912 0.025 0.631
0.912 0.475 0.631
```

---

Record 3
The following is a simulated powder X-ray diffraction pattern of BaSb4O8. It was derived from a cell relaxed with GGA-PBE, using Cu Kα.
Lines closer than 0.1° are merged.

Largest 12 diffraction maxima, in order of falling intensity, 15° ≤ 2θ ≤ 90°:
- d 3.151, 28.3 deg, rel. 1000
- d 2.986, 29.9 deg, rel. 582
- d 1.785, 51.2 deg, rel. 318
- d 1.819, 50.1 deg, rel. 302
- d 4.335, 20.5 deg, rel. 298
- d 2.167, 41.7 deg, rel. 219
- d 1.898, 47.9 deg, rel. 199
- d 3.567, 25.0 deg, rel. 199
- d 5.458, 16.2 deg, rel. 194
- d 1.274, 74.5 deg, rel. 166
- d 1.552, 59.6 deg, rel. 165
- d 2.362, 38.1 deg, rel. 151

Atomic structure:
```
BaSb4O8
1.0
6.302 0.000 0.000
-3.151 5.458 0.000
0.000 0.000 7.135
Ba Sb O
1 4 8
direct
0.000 0.000 0.000
0.333 0.667 0.277
0.333 0.667 0.723
0.667 0.333 0.277
0.667 0.333 0.723
0.000 0.346 0.267
0.000 0.654 0.733
0.333 0.667 0.000
0.346 0.000 0.267
0.346 0.346 0.733
0.654 0.000 0.733
0.654 0.654 0.267
0.667 0.333 0.000
```

---

Record 4
The following is a simulated powder X-ray diffraction pattern of BaSb2O. It was derived from a cell relaxed with GGA-PBE, using Cu Kα.
Lines closer than 0.1° are merged.

Largest 12 diffraction maxima, in order of falling intensity, 15° ≤ 2θ ≤ 90°:
- d 3.637, 24.5 deg, rel. 1000
- d 2.676, 33.5 deg, rel. 577
- d 2.783, 32.2 deg, rel. 462
- d 1.821, 50.1 deg, rel. 336
- d 2.480, 36.2 deg, rel. 234
- d 1.856, 49.1 deg, rel. 200
- d 1.680, 54.6 deg, rel. 143
- d 1.817, 50.2 deg, rel. 130
- d 1.581, 58.4 deg, rel. 117
- d 3.051, 29.3 deg, rel. 112
- d 1.407, 66.5 deg, rel. 100
- d 2.269, 39.7 deg, rel. 96

Atomic structure:
```
BaSb2O
1.0
6.103 0.000 0.000
0.000 6.103 0.000
0.000 0.000 13.574
Ba Sb O
4 8 4
direct
0.000 0.250 0.375
0.000 0.750 0.625
0.500 0.250 0.125
____________
Done.
Record 1
The following is a simulated powder X-ray diffraction pattern of Ba4SbO. It was derived from a cell relaxed with GGA-PBE, using Cu Kα.
Lines closer than 0.1° are merged.

Largest 12 diffraction maxima, in order of falling intensity, 15° ≤ 2θ ≤ 90°:
- d 3.199, 27.9 deg, rel. 1000
- d 3.217, 27.7 deg, rel. 933
- d 3.083, 29.0 deg, rel. 650
- d 3.852, 23.1 deg, rel. 507
- d 4.372, 20.3 deg, rel. 448
- d 2.583, 34.7 deg, rel. 426
- d 4.106, 21.6 deg, rel. 383
- d 1.980, 45.8 deg, rel. 361
- d 1.587, 58.1 deg, rel. 243
- d 2.535, 35.4 deg, rel. 219
- d 1.799, 50.8 deg, rel. 215
- d 2.523, 35.6 deg, rel. 202

Atomic structure:
```
Ba4SbO
1.0
6.167 0.000 0.000
0.000 5.165 0.000
-3.009 0.000 8.210
Ba Sb O
4 1 1
direct
0.000 0.000 0.000
0.215 0.000 0.481
0.433 0.500 0.872
0.700 0.500 0.491
0.596 0.000 0.205
0.337 0.500 0.564
```

---

Record 2
The following is a simulated powder X-ray diffraction pattern of Ba2Sb2O5. It was derived from a cell relaxed with GGA-PBE, using Cu Kα.
Lines closer than 0.1° are merged.

Largest 12 diffraction maxima, in order of falling intensity, 15° ≤ 2θ ≤ 90°:
- d 3.220, 27.7 deg, rel. 1000
- d 3.378, 26.4 deg, rel. 774
- d 1.734, 52.8 deg, rel. 318
- d 2.258, 39.9 deg, rel. 272
- d 1.859, 49.0 deg, rel. 223
- d 1.930, 47.1 deg, rel. 187
- d 1.380, 67.9 deg, rel. 158
- d 2.410, 37.3 deg, rel. 151
- d 1.889, 48.2 deg, rel. 143
- d 3.166, 28.2 deg, rel. 140
- d 2.058, 44.0 deg, rel. 133
- d 1.610, 57.2 deg, rel. 132

Atomic structure:
```
Ba2Sb2O5
1.0
14.864 0.000 0.000
0.000 6.445 0.000
0.000 0.000 8.231
Ba Sb O
8 8 20
direct
0.067 0.250 0.125
0.075 0.250 0.626
0.425 0.750 0.126
0.433 0.750 0.625
0.567 0.250 0.375
0.575 0.250 0.874
0.925 0.750 0.374
0.933 0.750 0.875
0.177 0.750 0.366
0.181 0.750 0.888
0.319 0.250 0.388
0.323 0.250 0.866
0.677 0.750 0.134
0.681 0.750 0.612
0.819 0.250 0.112
0.823 0.250 0.634
0.088 0.525 0.369
0.088 0.975 0.369
0.093 0.525 0.880
0.093 0.975 0.880
0.217 0.750 0.128
0.283 0.250 0.628
0.407 0.025 0.380
0.407 0.475 0.380
0.412 0.025 0.869
0.412 0.475 0.869
0.588 0.525 0.131
0.588 0.975 0.131
0.593 0.525 0.620
0.593 0.975 0.620
0.717 0.750 0.372
0.783 0.250 0.872
0.907 0.025 0.120
0.907 0.475 0.120
0.912 0.025 0.631
0.912 0.475 0.631
```

---

Record 3
The following is a simulated powder X-ray diffraction pattern of BaSb4O8. It was derived from a cell relaxed with GGA-PBE, using Cu Kα.
Lines closer than 0.1° are merged.

Largest 12 diffraction maxima, in order of falling intensity, 15° ≤ 2θ ≤ 90°:
- d 3.151, 28.3 deg, rel. 1000
- d 2.986, 29.9 deg, rel. 582
- d 1.785, 51.2 deg, rel. 318
- d 1.819, 50.1 deg, rel. 302
- d 4.335, 20.5 deg, rel. 298
- d 2.167, 41.7 deg, rel. 219
- d 1.898, 47.9 deg, rel. 199
- d 3.567, 25.0 deg, rel. 199
- d 5.458, 16.2 deg, rel. 194
- d 1.274, 74.5 deg, rel. 166
- d 1.552, 59.6 deg, rel. 165
- d 2.362, 38.1 deg, rel. 151

Atomic structure:
```
BaSb4O8
1.0
6.302 0.000 0.000
-3.151 5.458 0.000
0.000 0.000 7.135
Ba Sb O
1 4 8
direct
0.000 0.000 0.000
0.333 0.667 0.277
0.333 0.667 0.723
0.667 0.333 0.277
0.667 0.333 0.723
0.000 0.346 0.267
0.000 0.654 0.733
0.333 0.667 0.000
0.346 0.000 0.267
0.346 0.346 0.733
0.654 0.000 0.733
0.654 0.654 0.267
0.667 0.333 0.000
```

---

Record 4
The following is a simulated powder X-ray diffraction pattern of BaSb2O. It was derived from a cell relaxed with GGA-PBE, using Cu Kα.
Lines closer than 0.1° are merged.

Largest 12 diffraction maxima, in order of falling intensity, 15° ≤ 2θ ≤ 90°:
- d 3.637, 24.5 deg, rel. 1000
- d 2.676, 33.5 deg, rel. 577
- d 2.783, 32.2 deg, rel. 462
- d 1.821, 50.1 deg, rel. 336
- d 2.480, 36.2 deg, rel. 234
- d 1.856, 49.1 deg, rel. 200
- d 1.680, 54.6 deg, rel. 143
- d 1.817, 50.2 deg, rel. 130
- d 1.581, 58.4 deg, rel. 117
- d 3.051, 29.3 deg, rel. 112
- d 1.407, 66.5 deg, rel. 100
- d 2.269, 39.7 deg, rel. 96

Atomic structure:
```
BaSb2O
1.0
6.103 0.000 0.000
0.000 6.103 0.000
0.000 0.000 13.574
Ba Sb O
4 8 4
direct
0.000 0.250 0.375
0.000 0.750 0.625
0.500 0.250 0.125